[File]
{"formula": "C32H38N10O2RhS3", "method": "ωB97M-V/def2-TZVPD", "total_charge": -1, "multiplicity": 1, "homo_energy_ev": [-3.885, -2.589], "symbols": ["Rh", "C", "C", "N", "N", "C", "N", "S", "C", "C", "C", "C", "C", "N", "H", "H", "H", "H", "H", "H", "H", "H", "H", "N", "C", "C", "N", "C", "H", "H", "H", "H", "N", "C", "C", "C", "C", "C", "C", "S", "O", "O", "N", "C", "S", "C", "C", "N", "H", "H", "H", "H", "H", "H", "H", "H", "C", "C", "C", "C", "C", "C", "C", "C", "C", "C", "C", "C", "N", "H", "H", "H", "H", "H", "H", "H", "H", "H", "H", "H", "H", "H", "H", "H", "H", "H"], "xyz": [[-0.52688, -0.28873, 1.32294], [-3.07536, -3.37900, 2.92911], [-2.36223, -2.36220, 2.09327], [-1.30916, -1.71321, 2.52665], [-0.89860, -1.98786, 3.79280], [0.31897, -1.55752, 4.04981], [0.71016, -1.74214, 5.37022], [1.39987, -0.82344, 2.96892], [-2.70596, -2.10114, 0.73597], [-3.91125, -2.51116, 0.14250], [-4.12510, -2.27168, -1.19136], [-3.12917, -1.62851, -1.93031], [-1.98304, -1.22794, -1.28576], [-1.75146, -1.44533, 0.02077], [-3.72114, -2.90270, 3.67305], [-2.34430, -3.96341, 3.48718], [-3.67927, -4.04621, 2.31729], [0.21524, -2.47877, 5.84767], [1.70584, -1.71122, 5.51537], [-4.67396, -2.99123, 0.73978], [-5.05377, -2.57589, -1.65808], [-3.24790, -1.42547, -2.98601], [-1.20424, -0.70234, -1.81950], [-1.58502, 2.58194, 4.46360], [-1.15738, 3.52964, 3.56153], [-0.76846, 2.83508, 2.45847], [-0.94992, 1.49267, 2.67412], [-1.43943, 1.36919, 3.87871], [-1.94173, 2.74866, 5.38794], [-1.18533, 4.58173, 3.77609], [-0.40189, 3.21064, 1.52018], [-1.67076, 0.43576, 4.36576], [-4.16167, 2.57819, -6.48951], [-3.68536, 2.73529, -5.17900], [-2.94791, 3.86138, -4.82348], [-2.50719, 4.02771, -3.51953], [-2.80313, 3.07843, -2.55863], [-3.54535, 1.95608, -2.90237], [-3.98539, 1.78494, -4.20098], [-2.20908, 3.23943, -0.88398], [-3.37431, 3.38976, -0.05203], [-1.25791, 4.33499, -0.90735], [-1.53745, 1.84389, -0.54037], [-0.39457, 1.47178, -1.10611], [0.16296, 1.91269, -2.70757], [1.50112, 0.84091, -2.52084], [1.46357, 0.23655, -1.31249], [0.39006, 0.57995, -0.51825], [-3.60128, 3.05169, -7.18231], [-4.31626, 1.61577, -6.74966], [-2.71124, 4.60613, -5.57488], [-1.90987, 4.88547, -3.24070], [-3.75838, 1.21038, -2.14695], [-4.56253, 0.90614, -4.46677], [2.24515, 0.70410, -3.28306], [1.84237, -1.68279, -1.05974], [2.81865, 2.46539, 0.41437], [4.01988, 1.59285, 0.00827], [4.36609, 1.58271, -1.49312], [3.98842, 0.19059, 0.59970], [4.84057, -0.03136, 1.68056], [5.01316, -1.27507, 2.25058], [4.33202, -2.34577, 1.70289], [3.45418, -2.18706, 0.64196], [2.77976, -3.45520, 0.12291], [3.00338, -3.74068, -1.37403], [1.30216, -3.58028, 0.51071], [3.23742, -0.89579, 0.11138], [2.35273, -0.81680, -0.98123], [2.68822, 3.29995, -0.27721], [2.98415, 2.87652, 1.41139], [1.88523, 1.91315, 0.46145], [4.88135, 2.05919, 0.49244], [4.06938, 0.65386, -1.97602], [5.44439, 1.68718, -1.62798], [3.87669, 2.40328, -2.01914], [5.39596, 0.81548, 2.06823], [5.67503, -1.41018, 3.09590], [4.46611, -3.33845, 2.11664], [3.29613, -4.26113, 0.65210], [2.21078, -3.33997, -2.00928], [3.02264, -4.81885, -1.54222], [3.94772, -3.32080, -1.72317], [0.68917, -2.74200, 0.17194], [1.19077, -3.59666, 1.59420], [0.88414, -4.50121, 0.09364]], "forces_ev_per_angstrom": [[0.68, -2.37, -0.37], [0.05, 0.10, 0.16], [-0.50, -0.23, -0.40], [0.19, 1.08, -0.07], [0.39, 0.01, 0.36], [-0.55, -0.23, 0.22], [0.13, 0.13, 0.02], [-0.05, 0.54, -0.34], [-0.12, -0.70, 0.60], [-0.11, -0.05, -0.42], [-0.42, -0.30, 0.39], [0.63, 0.23, -0.17], [-0.30, -0.09, -0.37], [0.31, 1.50, 0.23], [0.00, -0.01, 0.01], [-0.02, -0.02, -0.02], [0.01, 0.02, -0.01], [0.02, -0.03, 0.00], [-0.04, -0.05, -0.01], [0.03, 0.01, 0.03], [-0.01, 0.02, 0.00], [0.03, 0.01, -0.02], [-0.02, -0.01, -0.06], [-0.02, -0.06, 0.03], [0.03, 0.00, -0.03], [-0.04, 0.10, 0.01], [0.03, -0.12, -0.44], [0.02, -0.07, 0.13], [0.04, -0.02, -0.09], [0.00, 0.03, -0.01], [0.02, 0.03, -0.04], [-0.01, -0.04, 0.00], [0.02, -0.02, -0.04], [0.00, -0.01, 0.03], [-0.01, -0.01, 0.01], [0.04, 0.05, -0.03], [0.03, -0.04, 0.09], [-0.03, -0.02, 0.02], [0.01, 0.02, -0.02], [-0.15, -0.01, -0.20], [0.03, -0.05, 0.03], [0.01, -0.04, -0.01], [-0.17, 0.53, 0.09], [-0.14, 0.04, 0.09], [0.20, 0.03, -0.01], [-0.08, -0.04, 0.13], [0.03, -0.09, -0.24], [-0.32, 0.26, 0.61], [-0.03, -0.01, 0.02], [0.00, 0.03, 0.00], [0.00, 0.01, -0.02], [0.01, 0.01, 0.01], [-0.01, -0.03, 0.02], [0.00, -0.01, -0.01], [0.02, 0.00, -0.04], [0.05, 0.01, -0.07], [-0.01, -0.03, -0.01], [0.03, 0.03, 0.09], [0.00, -0.04, -0.05], [0.08, 0.03, 0.05], [0.00, 0.00, 0.00], [0.01, 0.01, 0.00], [0.01, 0.00, -0.04], [0.01, -0.04, 0.01], [0.03, -0.02, 0.04], [0.01, 0.05, -0.02], [-0.01, 0.01, 0.01], [0.11, 0.01, 0.09], [-0.24, -0.09, 0.02], [0.00, 0.03, -0.01], [0.00, -0.01, 0.04], [0.03, 0.03, -0.01], [-0.02, 0.03, -0.02], [0.02, 0.03, 0.01], [0.02, -0.02, 0.00], [0.02, 0.03, 0.00], [0.00, 0.00, 0.01], [0.01, 0.00, 0.01], [0.01, -0.02, 0.01], [0.01, 0.02, -0.02], [0.00, 0.01, -0.01], [-0.02, -0.02, -0.01], [0.02, -0.03, 0.00], [-0.01, -0.01, -0.05], [-0.01, 0.00, 0.04], [0.00, 0.00, 0.01]]}
[Exercise]
Next, filter the data further up: keep the lines with the word "Rh".
[Reply]
{"formula": "C32H38N10O2RhS3", "method": "ωB97M-V/def2-TZVPD", "total_charge": -1, "multiplicity": 1, "homo_energy_ev": [-3.885, -2.589], "symbols": ["Rh", "C", "C", "N", "N", "C", "N", "S", "C", "C", "C", "C", "C", "N", "H", "H", "H", "H", "H", "H", "H", "H", "H", "N", "C", "C", "N", "C", "H", "H", "H", "H", "N", "C", "C", "C", "C", "C", "C", "S", "O", "O", "N", "C", "S", "C", "C", "N", "H", "H", "H", "H", "H", "H", "H", "H", "C", "C", "C", "C", "C", "C", "C", "C", "C", "C", "C", "C", "N", "H", "H", "H", "H", "H", "H", "H", "H", "H", "H", "H", "H", "H", "H", "H", "H", "H"], "xyz": [[-0.52688, -0.28873, 1.32294], [-3.07536, -3.37900, 2.92911], [-2.36223, -2.36220, 2.09327], [-1.30916, -1.71321, 2.52665], [-0.89860, -1.98786, 3.79280], [0.31897, -1.55752, 4.04981], [0.71016, -1.74214, 5.37022], [1.39987, -0.82344, 2.96892], [-2.70596, -2.10114, 0.73597], [-3.91125, -2.51116, 0.14250], [-4.12510, -2.27168, -1.19136], [-3.12917, -1.62851, -1.93031], [-1.98304, -1.22794, -1.28576], [-1.75146, -1.44533, 0.02077], [-3.72114, -2.90270, 3.67305], [-2.34430, -3.96341, 3.48718], [-3.67927, -4.04621, 2.31729], [0.21524, -2.47877, 5.84767], [1.70584, -1.71122, 5.51537], [-4.67396, -2.99123, 0.73978], [-5.05377, -2.57589, -1.65808], [-3.24790, -1.42547, -2.98601], [-1.20424, -0.70234, -1.81950], [-1.58502, 2.58194, 4.46360], [-1.15738, 3.52964, 3.56153], [-0.76846, 2.83508, 2.45847], [-0.94992, 1.49267, 2.67412], [-1.43943, 1.36919, 3.87871], [-1.94173, 2.74866, 5.38794], [-1.18533, 4.58173, 3.77609], [-0.40189, 3.21064, 1.52018], [-1.67076, 0.43576, 4.36576], [-4.16167, 2.57819, -6.48951], [-3.68536, 2.73529, -5.17900], [-2.94791, 3.86138, -4.82348], [-2.50719, 4.02771, -3.51953], [-2.80313, 3.07843, -2.55863], [-3.54535, 1.95608, -2.90237], [-3.98539, 1.78494, -4.20098], [-2.20908, 3.23943, -0.88398], [-3.37431, 3.38976, -0.05203], [-1.25791, 4.33499, -0.90735], [-1.53745, 1.84389, -0.54037], [-0.39457, 1.47178, -1.10611], [0.16296, 1.91269, -2.70757], [1.50112, 0.84091, -2.52084], [1.46357, 0.23655, -1.31249], [0.39006, 0.57995, -0.51825], [-3.60128, 3.05169, -7.18231], [-4.31626, 1.61577, -6.74966], [-2.71124, 4.60613, -5.57488], [-1.90987, 4.88547, -3.24070], [-3.75838, 1.21038, -2.14695], [-4.56253, 0.90614, -4.46677], [2.24515, 0.70410, -3.28306], [1.84237, -1.68279, -1.05974], [2.81865, 2.46539, 0.41437], [4.01988, 1.59285, 0.00827], [4.36609, 1.58271, -1.49312], [3.98842, 0.19059, 0.59970], [4.84057, -0.03136, 1.68056], [5.01316, -1.27507, 2.25058], [4.33202, -2.34577, 1.70289], [3.45418, -2.18706, 0.64196], [2.77976, -3.45520, 0.12291], [3.00338, -3.74068, -1.37403], [1.30216, -3.58028, 0.51071], [3.23742, -0.89579, 0.11138], [2.35273, -0.81680, -0.98123], [2.68822, 3.29995, -0.27721], [2.98415, 2.87652, 1.41139], [1.88523, 1.91315, 0.46145], [4.88135, 2.05919, 0.49244], [4.06938, 0.65386, -1.97602], [5.44439, 1.68718, -1.62798], [3.87669, 2.40328, -2.01914], [5.39596, 0.81548, 2.06823], [5.67503, -1.41018, 3.09590], [4.46611, -3.33845, 2.11664], [3.29613, -4.26113, 0.65210], [2.21078, -3.33997, -2.00928], [3.02264, -4.81885, -1.54222], [3.94772, -3.32080, -1.72317], [0.68917, -2.74200, 0.17194], [1.19077, -3.59666, 1.59420], [0.88414, -4.50121, 0.09364]], "forces_ev_per_angstrom": [[0.68, -2.37, -0.37], [0.05, 0.10, 0.16], [-0.50, -0.23, -0.40], [0.19, 1.08, -0.07], [0.39, 0.01, 0.36], [-0.55, -0.23, 0.22], [0.13, 0.13, 0.02], [-0.05, 0.54, -0.34], [-0.12, -0.70, 0.60], [-0.11, -0.05, -0.42], [-0.42, -0.30, 0.39], [0.63, 0.23, -0.17], [-0.30, -0.09, -0.37], [0.31, 1.50, 0.23], [0.00, -0.01, 0.01], [-0.02, -0.02, -0.02], [0.01, 0.02, -0.01], [0.02, -0.03, 0.00], [-0.04, -0.05, -0.01], [0.03, 0.01, 0.03], [-0.01, 0.02, 0.00], [0.03, 0.01, -0.02], [-0.02, -0.01, -0.06], [-0.02, -0.06, 0.03], [0.03, 0.00, -0.03], [-0.04, 0.10, 0.01], [0.03, -0.12, -0.44], [0.02, -0.07, 0.13], [0.04, -0.02, -0.09], [0.00, 0.03, -0.01], [0.02, 0.03, -0.04], [-0.01, -0.04, 0.00], [0.02, -0.02, -0.04], [0.00, -0.01, 0.03], [-0.01, -0.01, 0.01], [0.04, 0.05, -0.03], [0.03, -0.04, 0.09], [-0.03, -0.02, 0.02], [0.01, 0.02, -0.02], [-0.15, -0.01, -0.20], [0.03, -0.05, 0.03], [0.01, -0.04, -0.01], [-0.17, 0.53, 0.09], [-0.14, 0.04, 0.09], [0.20, 0.03, -0.01], [-0.08, -0.04, 0.13], [0.03, -0.09, -0.24], [-0.32, 0.26, 0.61], [-0.03, -0.01, 0.02], [0.00, 0.03, 0.00], [0.00, 0.01, -0.02], [0.01, 0.01, 0.01], [-0.01, -0.03, 0.02], [0.00, -0.01, -0.01], [0.02, 0.00, -0.04], [0.05, 0.01, -0.07], [-0.01, -0.03, -0.01], [0.03, 0.03, 0.09], [0.00, -0.04, -0.05], [0.08, 0.03, 0.05], [0.00, 0.00, 0.00], [0.01, 0.01, 0.00], [0.01, 0.00, -0.04], [0.01, -0.04, 0.01], [0.03, -0.02, 0.04], [0.01, 0.05, -0.02], [-0.01, 0.01, 0.01], [0.11, 0.01, 0.09], [-0.24, -0.09, 0.02], [0.00, 0.03, -0.01], [0.00, -0.01, 0.04], [0.03, 0.03, -0.01], [-0.02, 0.03, -0.02], [0.02, 0.03, 0.01], [0.02, -0.02, 0.00], [0.02, 0.03, 0.00], [0.00, 0.00, 0.01], [0.01, 0.00, 0.01], [0.01, -0.02, 0.01], [0.01, 0.02, -0.02], [0.00, 0.01, -0.01], [-0.02, -0.02, -0.01], [0.02, -0.03, 0.00], [-0.01, -0.01, -0.05], [-0.01, 0.00, 0.04], [0.00, 0.00, 0.01]]}